No animal is more symbolic of Maine’s northern forests than the moose, as officially attested by its adoption as Maine’s state animal and its appearance on the state seal. With its thick-set body, short neck and inordinately long legs and head, the moose is spectacular, but surely not the most beautiful animal in the forest. But when you see it roam the boggy places, the tangled undergrowth, or the deep snow, you realize how wonderfully adapted the moose is to its environment.
The moose is the largest antlered animal in North America, and the largest member of the deer family in the world. A large male, or bull, may be as long as 10 feet, 7 feet tall at the shoulder, and weigh three-quarters of a ton. No lightweight herself, a large cow may weigh nearly a half ton. Only the bulls have antlers, and they are usually palmated, up to 6 feet across the widest spread, and can weigh hundreds of pounds.
In North America moose are found from coast to coast, from the Arctic tundra south into the northern United States. They are distributed statewide in Maine but are most abundant in northern, western and eastern counties, where the climate, habitat conditions, and relatively low deer populations are favorable for moose.
Moose Watching
Observing moose in their natural habitat has become a popular activity for many people, and is locally important to the tourism economy. It’s an enjoyable leisure pastime, and one requiring no special equipment. Even serious moose watchers use only a pair of binoculars, and maybe a camera and a canoe.
The best period for moose watching is late spring to mid-summer, when the animals are likely to be seen in shallow ponds or in and around roads. A common belief is that moose seek the water at this time for relief from the heat and flies, but new research suggests that the real reason is their need for sodium, depleted from their bodies after the long winter. Biologists say aquatic plants fulfill that sodium “hunger” much better than other moose foods. Their sodium craving also attracts moose to roadsides, where they find salt accumulated from winter spreading on the roads.
The period from late August to mid-September is another good time to see moose at the ponds-particularly cows with their calves. At other times, moose are wherever you find them, and this includes everywhere from the deep woods to downtown areas, where an occasional stray moose may wander.
A few words of caution
Moose are not considered dangerous, but they should not be startled or approached too closely on land or in the water. Cow moose are often very protective of young calves; and during the mating season, in late September and early October, the bulls can be aggressive.
Be constantly alert when driving in moose country. Hundreds of moose, and several people, are killed each year in moose/vehicle accidents.
More Moose Facts
* One of the easiest ways to see a moose is to simply ride on Rt. 15 between Greenville and Rockwood at sunset during the summer months. The back road from Greenville to Shirley is also a good road for moose watching. There are several boggy areas along the roadside which are frequented by moose.
* Current estimates place Maine’s moose population at about 25,000.
Records of molecules, kept here for reference.
********
No. 1
{"formula": "C5H9NO", "method": "ωB97M-V/def2-TZVPD", "symbols": ["C", "N", "C", "C", "C", "O", "C", "H", "H", "H", "H", "H", "H", "H", "H", "H"], "coordinates": [[2.296, -0.377, -2.144], [0.981, -0.085, -1.627], [0.619, -0.621, -0.540], [-0.724, -0.291, -0.008], [-0.923, 0.048, 1.405], [-1.351, -1.203, 0.887], [-1.963, 1.056, 1.813], [2.872, 0.552, -2.212], [2.182, -0.762, -3.162], [2.862, -1.107, -1.544], [1.254, -1.295, 0.060], [-0.060, -0.040, 2.070], [-1.386, 0.159, -0.748], [-2.535, 0.716, 2.681], [-1.466, 1.996, 2.076], [-2.659, 1.253, 0.993]], "forces_ev_per_angstrom": [[0.19, -0.04, -0.10], [-0.10, -0.26, 0.35], [0.02, 0.16, -0.24], [0.07, 0.17, -0.19], [0.09, 0.23, 0.15], [-0.09, -0.17, 0.02], [-0.06, 0.01, -0.01], [-0.09, -0.14, 0.00], [0.09, 0.04, 0.12], [-0.10, 0.10, -0.05], [-0.08, 0.07, -0.14], [-0.11, 0.02, -0.10], [0.09, -0.01, 0.14], [0.11, 0.01, -0.07], [-0.10, -0.11, -0.03], [0.07, -0.08, 0.14]], "fmax_ev_per_a": 0.4, "relative_energy_ev": 2.3703, "smiles": "C/N=C/[C@H]1O[C@@H]1C", "orbital_gap_ev": 11.0324, "total_charge": 0, "e_lumo_ha": 0.0428}


No. 2
{"formula": "C5H9NO", "method": "ωB97M-V/def2-TZVPD", "symbols": ["C", "N", "C", "C", "C", "O", "C", "H", "H", "H", "H", "H", "H", "H", "H", "H"], "coordinates": [[-1.591, -1.584, 1.336], [-0.504, -0.758, 0.731], [-0.427, 0.648, 0.914], [-0.551, 0.182, -0.459], [0.701, 0.973, -0.974], [0.355, 2.089, -1.317], [2.072, 0.437, -1.362], [-1.143, -2.374, 1.966], [-2.199, -2.089, 0.578], [-2.278, -1.017, 1.985], [-1.044, 1.231, 1.601], [0.801, 1.091, 0.704], [-1.384, 0.223, -1.154], [2.543, 1.246, -1.927], [2.764, 0.104, -0.581], [1.884, -0.403, -2.040]], "forces_ev_per_angstrom": [[0.13, 0.39, -0.40], [1.42, -0.17, -0.43], [2.57, 1.27, 0.40], [-0.51, -0.30, 0.16], [-1.18, -0.58, -2.41], [0.63, -0.30, 0.01], [-0.07, 0.05, -0.03], [0.02, 0.46, -0.37], [0.21, 0.19, -0.03], [0.25, 0.10, -0.31], [0.00, -0.13, -0.48], [-2.87, -0.92, 3.05], [-0.23, 0.08, 0.49], [0.01, -0.16, 0.14], [-0.49, 0.02, 0.09], [0.10, 0.01, 0.13]], "fmax_ev_per_a": 4.3, "relative_energy_ev": 5.0109, "smiles": "CC(=O)[C@@H]1CN1C", "orbital_gap_ev": 9.4767, "total_charge": 0, "e_lumo_ha": 0.0332}


No. 3
********
The records of molecules stop here.
* Moose breeding, the rut, is in late September and early October. Bulls over the age of 4 are dominant breeders. Cows may have their first offspring at 1 1/2 to 2 1/2 years of age. The first birth of a cow is usually a single calf and twins are common in older cows. Moose calves, born in May or June, weigh about 30 pounds and stay with their mother through the first winter.
* Most Maine moose are younger than 14 years and a real old moose might reach 20.
* In late spring and early summer, moose often look “scruffy” because they are shedding their winter coats and sometimes rubbing places itchy from ticks.
* Concerns about a declining moose population in Maine during the early 1900’s led to increased restrictions on hunting until, in 1935, legal moose hunting ended. As the number of moose increased over the next 45 years, so did interest in restoration of moose hunting and in 1980, the legislature authorized a conservative and limited open season on moose. Even though hunting has resumed, the moose population has continued to increase and there are more moose now than in 1980.
Sighting Moose
The best places to see moose in Maine are:
- Jackman area: Route 201 from Bingham to the Quebec border.
- Moosehead Lake Region: All around the lake.
- Millinocket area and Baxter State Park
- Aroostook County: Along Route 11